13 The One With The Chocolate Stain


I silently watched the people who just joined our table. It was really unexpected! Knowing them, they always stay in their house during the weekends, and would only come out if we have a groupwork or other related activities for school. But seeing their weird glances at each other and the fact that my rival was also here, I knew there was something going on.

“Uncle and Auntie, thank you so much for inviting us here!” Ranie said as he took a photo of his food.

I scoffed and grabbed the spoon to taste the melted chocolate mint ice cream. Who told him that they were invited? Why did I feel like they went here on purpose?

Mommy laughed at him. “It’s nothing, dear! I’m just happy to see you all here!”

“We saw a long-time friend, so we’re just gonna greet him at his table. You’re on your own now, kids,” Daddy gently pulled my mom’s hand and smiled at us.

True enough, they headed to the table near the entrance. My mother pointed her hand to our direction and the man slanted his head to look at us. We waved at him before we continued to eat.

I glanced at Andrei to give my score on the chocolate mint ice cream, but he seemed to have lost his appetite as he kept staring at his food. Then my gaze ran over to Cai, Matthew, and Ranie. He noticed that I was keeping an eye on him, and so he tore his gaze off Andrei.

As I looked away, my gaze caught Dwight whose eyes were obviously directed at me. He was sitting in front of me now ‘coz Cai left her chair when they arrived. But the longer I stared at Dwight, the more I felt uncomfortable for his face was exuding the look of irritation.

Cai tapped her drinking glass using the fork to get our attention. “Guys, don’t forget to attend the party tomorrow, alright? I already sent you the invitation, and I hope that you read it carefully. Just check your e-mails for more details.”

Right! Tomorrow’s the celebration for the 16th anniversary of their first ever restaurant. Other than her birthday, it was Cai’s most awaited event every year.

Matthew’s face brightened up. “Finally! A party! We need a break from all the schoolwork. So, Cai, count me in!”

Smirking, Ranie put his arm on Matthew’s shoulder. “You’ll look like a rag when you stand beside me tomorrow.”

I rolled my eyes. Here we go… again.

“Shut up, Ranie! It’s not like you’re going to a red-carpet event. Although I want you to dress formally, I wouldn’t want you to look overdressed and so out of place,” Cai said firmly.

Ranie just grinned at her. I know. He wouldn’t listen to her or anyone other than himself. His narcissistic personality is getting out of hand. We need to do something to tame him.

Dana whipped her hair and it hit Ranie’s face. “Whatever you say, Ranie! You can’t ruin my excitement!”

Danielle nodded her head. “Likewise. I’ll be in my best dress tomorrow!”

They feel so much alive when it comes to party. I wish I could be as enthusiastic as them. It’s not that I’m not excited or unhappy about it; social gatherings aren’t just my thing.

“Are you coming, Dwight?” Matthew threw that question out of the blue.

“Not sure,” he responded lazily.

I glanced at Dwight who was enjoying his food quietly. I thought he already agreed to attend the party with his family. Why did he change his mind?

“Come on, dude? There’s just three of us and you’re still undecided?” Ranie protested.

“I’ll try,” said Dwight. Then, he pretended that we was alone and we weren’t here.

Cailah sighed as she looked at Stacie. “Please, make sure that you’ll be able to attend the party tomorrow. I was really looking forward to seeing everyone in there, but Dwight’s still undecided. You’re my only hope, Stace.”

Stacie smiled at her. “Don’t worry, I’ll be there.”

### Data records that have nothing to do with the text
C4H8N2 as an isolated structure, computed with ωB97M-V/def2-TZVPD.

- charge = 0
- ΔE to the lowest compared entry with this formula, charge and spin (kJ/mol) = 545.22
- Kohn-Sham gap (eV) = 7.6

Geometry (Å):
C -0.38340 1.25152 -0.33039
C 1.40091 -0.40421 -0.35267
C 0.24336 -1.34724 -0.18501
C -1.49287 0.24547 -0.21460
H -0.62345 2.33148 -0.02203
H -0.07258 1.63980 -1.29637
H 0.72618 0.43593 1.30697
H 1.97153 -0.23366 -1.32519
H 2.15938 -0.74580 0.58220
H 0.33402 -2.24327 0.46535
H -1.71876 -1.73838 0.25956
H -2.39757 0.75098 0.69864
N 0.91040 1.00179 0.43614
N -1.05715 -0.94440 -0.02259

~~~~~

# 1
6
Properties=species:S:1:pos:R:3:mulliken_charge:R:1 method="wB97M-V/def2-TZVPD" e_lumo_ev=-0.03 multiplicity=1 de_lowest_ev=3.1003
C 0.52 0.54 0.02 -0.23
C -0.48 -0.26 -0.01 -0.33
Br -2.30 -0.12 -0.04 -0.04
H 1.60 0.15 0.23 0.18
H 0.41 1.62 -0.03 0.28
H 0.25 -1.92 -0.16 0.13

***

# 2
27
Properties=species:S:1:pos:R:3:mulliken_charge:R:1 method="wB97M-V/def2-TZVPD" smiles="O=P(Cl)([C@@H]1[NH2+]CCO1)[C@@H]1[NH2+]CCO1" e_lumo_ev=-6.56 multiplicity=1 charge=+2 de_lowest_ev=1.2098
C 2.21 2.35 1.53 -0.61
C -0.92 -2.83 -0.81 -0.37
C 0.96 1.95 2.30 -0.38
C -1.76 -2.36 -1.96 -0.40
C 0.49 1.75 0.11 -0.22
C -1.80 -0.72 -0.35 -0.11
N 2.03 1.65 0.22 -0.24
N -1.42 -1.98 0.36 -0.27
O 1.11 -0.58 -1.05 -0.74
O 0.06 1.34 1.32 -0.35
O -2.41 -1.17 -1.45 -0.41
P -0.10 0.27 -1.00 1.05
Cl -0.53 0.96 -2.74 -0.14
H 1.96 3.31 1.27 0.38
H 3.15 2.22 1.88 0.48
H -0.85 -3.91 -0.61 0.48
H 0.14 -2.44 -1.07 0.27
H 1.10 1.21 3.01 0.35
H 0.62 2.91 2.90 0.29
H -1.14 -2.02 -2.87 0.25
H -2.46 -3.01 -2.36 0.36
H 0.24 2.80 -0.37 0.31
H -2.48 0.00 0.17 0.49
H 2.49 2.06 -0.68 0.38
H 2.27 0.67 0.31 0.39
H -2.25 -2.50 0.80 0.41
H -0.70 -1.91 1.12 0.35

***

# 3
70
Properties=species:S:1:pos:R:3:mulliken_charge:R:1 method="wB97M-V/def2-TZVPD" e_lumo_ev=-8.28 multiplicity=1 charge=+2 de_lowest_ev=2.1121
Ir -1.74 -1.76 2.23 1.61
C -2.62 -6.86 0.79 -0.88
S -4.08 -5.80 0.92 0.11
C -3.45 -4.34 1.57 0.49
S -1.75 -4.11 1.88 -0.33
N -4.33 -3.44 1.88 -1.23
N -3.88 -2.27 2.32 0.62
C -4.63 -1.46 2.97 -0.48
C -4.05 -0.24 3.48 0.76
C -4.80 0.78 4.03 -0.77
C -4.15 1.88 4.57 -0.38
C -2.77 1.93 4.53 -0.76
C -2.08 0.88 3.95 0.09
N -2.70 -0.18 3.45 -0.37
H -2.99 -7.84 0.50 0.35
H -2.12 -6.93 1.75 0.33
H -1.95 -6.48 0.02 0.34
H -5.67 -1.72 3.19 0.46
H -5.88 0.70 4.04 0.46
H -4.72 2.68 5.03 0.46
H -2.23 2.77 4.95 0.45
H -1.00 0.88 3.90 0.37
Br 0.79 -1.86 3.18 0.00
C 1.62 -3.43 2.37 -0.56
Br 2.02 -3.13 0.53 0.02
H 0.93 -4.25 2.45 0.28
H 2.54 -3.61 2.92 0.44
C 2.88 0.77 -0.08 -1.54
C 2.13 2.10 0.06 2.01
C 1.21 1.99 1.30 -1.55
C 3.17 3.20 0.34 -1.87
C 1.29 2.49 -1.22 1.46
O 0.34 3.50 -0.88 -0.65
C 2.10 3.08 -2.41 -1.79
C 3.17 2.23 -3.12 -1.10
C 2.64 1.10 -3.96 0.07
C 2.96 -0.22 -3.68 0.01
C 2.49 -1.26 -4.47 -0.92
C 1.70 -0.98 -5.58 0.34
Cl 1.13 -2.26 -6.57 -0.20
C 1.37 0.34 -5.88 -0.85
C 1.84 1.36 -5.08 -0.08
C 0.42 1.34 -1.80 -2.45
N -0.56 0.79 -0.87 1.05
C -0.55 -0.40 -0.30 0.12
N -1.60 -0.49 0.51 -0.56

I felt so much better when I saw the smile on my cousin’s face. This is really important for her, so I won’t do anything to disappoint her. I’ll just support her quietly.

“Cai, do I need to wear a long gown?” I asked her.

Her forehead creased. “Of course. Whether you like it or not, you’re required to wear something formal. That’s the dress code. And if you don’t know what to wear, ease your worry away ‘coz I’m in-charge of your outfit.”

“Can I just, uh, wear a simple dress? It’s still a dress, right?” I thought that maybe she’d agree.

Her nose crinkled as she shook her head. “It depends on the dress, Tania. Let me check it first, and if it’s not up to my liking, then you’ll wear the dress that I prepared for you.”

Leaning my back on the chair, I exhaled heavily. I’m not used to wearing dresses and such girly and chic outfits. I’m more of a t-shirt, pants, and sneakers type of girl.

“Tania, I can’t finish this.” Andrei put the lava cake on my plate. “The sugar rush is kicking in.”

My mouth stretched out for a smile. He got the last piece of lava cake, so I was quite upset earlier. He ate too much sweets and I couldn’t believe that he gave me the best one.

“Thanks!” I used the fork to poke it and the ganache quickly spread out on the plate. Then, I grabbed the dessert spoon and took a big bite.

Yum! It was so good! It had a right amount of sweetness, so I wouldn’t feel sick after consuming a lot of chocolate.

I was about to take the second bite when Ranie grabbed my hand. “Don’t eat that, Tania!” He, then, faced Andrei. “And you? We don’t feed her leftovers! Come on, man?!”

What the hell was that? He was really getting into my nerves! My patience was on the edge and I’d do a verbal smackdown if he wouldn’t shut his big mouth!

Andrei scoffed at him. “Why would it be a leftover if I didn’t even eat that? Did you really think I’d let her eat something disgusting?”

“Ranie!” Even Cai had to come in between them. “Will you just cut it out? You’re being petty and unreasonable!”

We caught almost everyone’s attention because of her loud voice. Dwight stood up to drag Ranie away from us, but the latter was still holding my hand. I twisted my hand to make him loosen up his grip, but he was too strong for me. And when I tried to do it again for the last time ‘coz I was on the verge of punching him real hard, he finally let go of me.

Everyone gasped. I was shaking so bad as I looked down. The chocolate stain was all over my white shirt! I massaged my temples and fixed my gaze at Ranie.

“I-I’m sorry…” guilt crossed on his face.

I glared at him. “What’s done is done.”

I left my seat and marched towards the powder room. They’ve been calling me, but I couldn’t care less. I was so pissed that I’d just choose to leave than take it out on them. I was trying to be more logical as much as possible as I didn’t want to do something that I’d regret in the end.

I turned the faucet on and let the water ran down on my shirt. But unfortunately, the stain wouldn’t come off.

I groaned in frustration. Of all the days, why did I wear a white shirt today? But it wasn’t my fault either.

Seconds later, I heard the door creaked open.

“You’re not done yet.”

I didn’t have to turn around to see who he was. That smell… That slightly deep voice… Of course, I would know it instantly. I know him like the back of my hand. But I refused to understand as to why my heart was beating so fast whenever he’s around.

“Need my help?” he was standing behind me, but I couldn’t look at him.

What should I do? What should I tell him? Argh! My mind just went blank!

“H-How did you get in here?” I bit my tongue immediately.

I had goosebumps when he held the hem of my shirt. I could hear him breathing as we were so close to each other. And I felt like my heart joined a race as it was hammering so fast and loud—enough for him to lift his head up and stare at my face.

He grinned. “I used the door. How else could I let myself in?”

My face distorted. “Your sarcasm’s not helping me at all. Tell me, didn’t you read the sign on the door? What if we get caught?” I removed his hand on mine and pulled him towards the door. “Get out before my parents see us together. I don’t want them to think that something’s going on between us.”

I opened the door and thought that he was going out peacefully, but he chuckled and pulled me instead.

“Why did you—”

My eyed widened the moment I read the sign on the door. It says “Out of Order’ when it wasn’t even there when I went inside the powder room.

“Y-You!” I pointed to him. “What did you do?!”

He pinched my nose. “See? Just trust me.”

My lips parted as I let him drag me in. He locked the door, so I took three steps backward. But it was such a wrong move ‘coz I only made it easier for him to corner me. He put his hands on the sink and closed the distance between us. Locking his gaze with mine, his mouth rose up to give me a teasing smile.

I swallowed hard. “T-The signboard wasn’t there…”

“I know. I’ll explain it to you later.” He took out something from his pocket before he tapped the faucet. “But for now, let’s just get into the business, shall we?”

He placed his wet handkerchief on my shirt and started to rub it off to remove the stain. I couldn’t help but stare at his handsome face.

Just close your mouth and I could look at you all day…

He might hurt his neck and back for looking down for so long, so I sat on the sink. He smiled a little and continued what he was doing.

“You should wear a darker color next time. And on behalf of Ranie, I apologize. He didn’t mean it.”

I crossed my arms. “I know, but I should teach him a lesson.”

“Yeah, as you should.” He bit his lower lip and cleared his throat. “Anyway, do you still wanna eat the lava cake?”

I frowned at him. “Why did you ask? Did you save it for me?”

“Not really.” Our gazes met and the expression on his face softened a bit. “But you wanted it, so I ask the pastry chef if she could make some more.”

I smiled widely. “Thank you! I’m not mad anymore!”

He laughed, but he paused and my smile faded when we both noticed that we were staring at each other.

“Tania, I, uh…” I froze when he gently cupped my face. I couldn’t move because I was trapped in between his arms.

With his eyes not leaving mine, he came closer to me. Our faces were only a few inches apart, so I could feel his heartbeat. His heart was thumping so fast and loud like mine. But I was confused ‘coz letting him feel and hear it was fine to me. It was hard to believe that I was okay with that.

I looked down and saw that the stain on my shirt was gone, so I took that as an initiative to get down from the sink.

“It’s time to go back. We’ve been here for so long…” I said and looked away.

He didn’t say anything and just opened the door for me while he was staring at my face.

I shut my eyes tightly. We almost kissed!

Back on our table, everyone was asking what we did inside the powder room. I told him the truth that Dwight removed the stain off my shirt. It was a good thing that they didn’t throw a follow-up questions ‘coz I wanted to keep our last moment in there for myself.

In the end, Ranie was forgiven. He also asked an apology to Andrei, and my best friend forgave him as well.

Cai went to our house ‘coz her parents are busy preparing for the party. I headed to my room to take a nap. But it wasn’t even an hour ago when I closed my eyes when she decided to wake me up. I thought my door would break as she was knocking so hard. Light-headed, I jumped down the bed and let her in.

“Why? What’s the matter?” I asked while my eyes are closed.

“It’s an emergency!” she was looking for something and when she found my bag, she put my stuff in there.

I tailed her. “W-Where are we going?”

“There’s no ‘we’. It’s you who we are sending away,” she smirked and just pushed me towards the door.

Clueless, I tilted my head to look at her. “What?! Where am I going?!”

She handed the bag to me as we hurriedly walked down the stairs. “Dwight’s sick! His parents went overseas for business matters, so he’s all alone in their house! No one will look out for him other than you!”

I almost tripped to my own foot ‘coz we were walking so fast! Cai managed to drag me out of the house and there I saw our car waiting for me.

Mommy opened the door in the backseat and pushed me in.

“Take care of him, Tania!” she waved her hands and the car moved without giving me the chance to protest or... speak.

Cai winked at me. “We’re counting on you!”

Oh, my goodness! What the hell did just happen?!